**Assignment**
What is needed: reproduce the lines underneath from the first line to the one with "10.354" verbatim.

**Input**
Here is CaCo6O2F10 after structural relaxation from the Materials Project database. Energies are from PBE+U.

Geometry as extended XYZ:
```
19
Lattice="5.381 0.000 0.000 1.304 5.308 0.000 0.155 1.198 9.188" Properties=species:S:1:pos:R:3 pbc="T T T"
Ca 0.000 0.000 0.000
Co 0.895 0.789 5.397
Co 1.763 1.796 2.820
Co 2.674 1.788 7.353
Co 4.624 4.221 3.782
Co 4.479 3.167 0.747
Co 5.155 3.621 6.728
O 0.757 1.949 7.026
O 3.332 5.603 3.906
F 0.554 1.774 1.235
F 3.426 4.760 0.106
F 3.305 2.947 2.381
F 3.796 5.208 6.708
F 3.566 2.713 5.851
F 3.882 2.785 8.695
F 5.576 4.485 1.910
F 5.892 4.684 8.342
F 6.033 4.782 5.250
F 5.647 2.459 3.997
```

Calculated values
As for the total energy: -5.2618 eV/atom. For the offset from the most stable computed form, the calculation gives 0.00 eV/f.u.


Record 1
## NaLaSnP2SO12 (GGA-PBE)

Data for NaLaSnP2SO12 after structural relaxation.

```
NaLaSnP2SO12
1.0
-8.170 2.955 2.907
2.461 -8.772 1.398
9.301 5.308 20.747
Sn O La P Na S
6 72 6 12 6 6
Cartesian
-0.934 -4.805 2.272
1.722 2.642 16.606
3.723 -2.154 12.643
-2.921 -0.014 6.230
3.249 1.827 7.287
7.906 4.478 17.658
1.878 -1.076 9.148
7.546 -1.975 20.036
6.295 0.532 22.791
4.809 -2.262 18.505
5.863 1.167 12.605
-1.141 -3.180 3.575
-1.953 -2.780 9.775
-0.349 2.671 16.378
-1.126 0.887 6.821
0.352 -0.261 18.467
4.337 1.982 21.925
9.709 -3.102 20.662
8.774 -1.370 22.201
6.167 -4.870 14.215
-0.309 -0.937 2.772
3.256 0.910 9.306
5.269 0.231 20.456
-0.927 -5.722 4.291
2.180 4.717 22.136
-2.309 -1.150 8.035
-3.050 -5.872 5.466
6.125 3.397 17.617
-1.255 3.119 10.770
1.177 1.856 7.059
8.517 3.343 19.462
-5.742 2.305 7.210
0.902 0.165 13.623
-3.551 1.607 4.818
0.151 1.556 4.724
1.729 1.725 18.626
1.567 0.283 20.551
-5.438 -3.513 5.755
3.065 -0.962 14.249
4.335 -3.289 14.448
1.680 -5.466 7.590
-4.515 2.910 9.375
1.943 -3.235 12.603
-4.766 1.064 2.735
5.518 -1.252 13.234
3.992 -0.437 22.554
5.503 -5.319 9.988
1.132 0.761 10.481
1.455 3.150 12.550
1.049 -4.568 2.938
-0.041 5.961 16.820
7.777 -1.379 16.894
-0.477 -3.753 12.258
-1.835 -0.122 12.092
3.093 -0.532 11.231
-4.701 -1.095 6.190
-2.728 -3.482 7.535
-3.579 1.178 7.836
3.946 -3.627 8.899
1.515 4.268 17.910
-1.809 -1.136 4.870
5.277 2.655 15.317
5.389 0.980 17.183
3.706 2.879 17.273
-5.549 -1.837 3.890
4.835 -3.276 11.283
8.873 1.713 21.203
8.099 1.010 18.963
2.454 -2.295 6.199
0.847 6.311 19.204
2.130 0.770 15.788
1.095 -3.977 10.303
-1.375 2.370 14.043
5.110 5.153 20.533
-0.477 -2.730 7.802
2.229 3.853 14.790
-2.698 -1.487 2.486
0.928 -1.480 15.518
1.835 -3.291 8.258
1.229 0.738 2.949
6.347 -0.586 18.682
-0.297 1.553 12.269
4.492 4.157 22.593
-2.152 6.297 16.180
-4.948 1.767 8.373
1.696 -0.373 14.786
1.151 5.798 17.736
5.157 2.448 16.806
-5.670 -2.045 5.378
0.974 -4.184 11.791
-1.506 -1.650 3.402
8.340 -2.513 21.199
5.138 -3.790 9.815
-0.128 1.924 6.163
4.990 0.600 21.896
-1.654 2.739 15.483
3.249 3.538 19.431
-1.708 0.996 9.167
0.593 -3.909 5.097
-0.933 -3.094 14.416
11.580 -3.284 21.993
4.936 -1.144 15.580
8.967 1.917 19.707
2.308 -0.011 10.048
-4.336 2.129 3.635
-1.860 -2.576 8.280
0.782 0.804 19.368
2.323 4.057 13.294
```

**M_tot**: 0.000 μB per formula unit
**ΔH_f (0 K)**: -46.81 eV per formula unit
**Electronic total energy**: -6.84 eV/atom

Record 2
## Ba8ZrNb19O36 (GGA-PBE)

Data for Ba8ZrNb19O36 after structural relaxation.

```
Ba8ZrNb19O36
1.0
4.231 0.000 0.000
0.000 4.231 0.000
0.000 0.000 49.784
Ba Zr Nb O
8 1 19 36
Cartesian
0.000 0.000 2.084
0.000 0.000 10.354
0.000 0.000 14.537
0.000 0.000 22.801
0.000 0.000 26.984
0.000 0.000 35.248
0.000 0.000 39.431
0.000 0.000 47.700
2.115 2.115 0.000
0.000 2.115 6.232
0.000 2.115 18.669
0.000 2.115 31.116
0.000 2.115 43.552
2.115 0.000 6.232
2.115 0.000 18.669
2.115 0.000 31.116
2.115 0.000 43.552
2.115 2.115 4.208
2.115 2.115 8.253
2.115 2.115 12.446
2.115 2.115 16.642
2.115 2.115 20.695
2.115 2.115 24.892
2.115 2.115 29.089
2.115 2.115 33.142
2.115 2.115 37.339
2.115 2.115 41.531
2.115 2.115 45.577
0.000 0.000 6.235
0.000 0.000 18.669

**Response**
Here is CaCo6O2F10 after structural relaxation from the Materials Project database. Energies are from PBE+U.

Geometry as extended XYZ:
```
19
Lattice="5.381 0.000 0.000 1.304 5.308 0.000 0.155 1.198 9.188" Properties=species:S:1:pos:R:3 pbc="T T T"
Ca 0.000 0.000 0.000
Co 0.895 0.789 5.397
Co 1.763 1.796 2.820
Co 2.674 1.788 7.353
Co 4.624 4.221 3.782
Co 4.479 3.167 0.747
Co 5.155 3.621 6.728
O 0.757 1.949 7.026
O 3.332 5.603 3.906
F 0.554 1.774 1.235
F 3.426 4.760 0.106
F 3.305 2.947 2.381
F 3.796 5.208 6.708
F 3.566 2.713 5.851
F 3.882 2.785 8.695
F 5.576 4.485 1.910
F 5.892 4.684 8.342
F 6.033 4.782 5.250
F 5.647 2.459 3.997
```

Calculated values
As for the total energy: -5.2618 eV/atom. For the offset from the most stable computed form, the calculation gives 0.00 eV/f.u.


Record 1
## NaLaSnP2SO12 (GGA-PBE)

Data for NaLaSnP2SO12 after structural relaxation.

```
NaLaSnP2SO12
1.0
-8.170 2.955 2.907
2.461 -8.772 1.398
9.301 5.308 20.747
Sn O La P Na S
6 72 6 12 6 6
Cartesian
-0.934 -4.805 2.272
1.722 2.642 16.606
3.723 -2.154 12.643
-2.921 -0.014 6.230
3.249 1.827 7.287
7.906 4.478 17.658
1.878 -1.076 9.148
7.546 -1.975 20.036
6.295 0.532 22.791
4.809 -2.262 18.505
5.863 1.167 12.605
-1.141 -3.180 3.575
-1.953 -2.780 9.775
-0.349 2.671 16.378
-1.126 0.887 6.821
0.352 -0.261 18.467
4.337 1.982 21.925
9.709 -3.102 20.662
8.774 -1.370 22.201
6.167 -4.870 14.215
-0.309 -0.937 2.772
3.256 0.910 9.306
5.269 0.231 20.456
-0.927 -5.722 4.291
2.180 4.717 22.136
-2.309 -1.150 8.035
-3.050 -5.872 5.466
6.125 3.397 17.617
-1.255 3.119 10.770
1.177 1.856 7.059
8.517 3.343 19.462
-5.742 2.305 7.210
0.902 0.165 13.623
-3.551 1.607 4.818
0.151 1.556 4.724
1.729 1.725 18.626
1.567 0.283 20.551
-5.438 -3.513 5.755
3.065 -0.962 14.249
4.335 -3.289 14.448
1.680 -5.466 7.590
-4.515 2.910 9.375
1.943 -3.235 12.603
-4.766 1.064 2.735
5.518 -1.252 13.234
3.992 -0.437 22.554
5.503 -5.319 9.988
1.132 0.761 10.481
1.455 3.150 12.550
1.049 -4.568 2.938
-0.041 5.961 16.820
7.777 -1.379 16.894
-0.477 -3.753 12.258
-1.835 -0.122 12.092
3.093 -0.532 11.231
-4.701 -1.095 6.190
-2.728 -3.482 7.535
-3.579 1.178 7.836
3.946 -3.627 8.899
1.515 4.268 17.910
-1.809 -1.136 4.870
5.277 2.655 15.317
5.389 0.980 17.183
3.706 2.879 17.273
-5.549 -1.837 3.890
4.835 -3.276 11.283
8.873 1.713 21.203
8.099 1.010 18.963
2.454 -2.295 6.199
0.847 6.311 19.204
2.130 0.770 15.788
1.095 -3.977 10.303
-1.375 2.370 14.043
5.110 5.153 20.533
-0.477 -2.730 7.802
2.229 3.853 14.790
-2.698 -1.487 2.486
0.928 -1.480 15.518
1.835 -3.291 8.258
1.229 0.738 2.949
6.347 -0.586 18.682
-0.297 1.553 12.269
4.492 4.157 22.593
-2.152 6.297 16.180
-4.948 1.767 8.373
1.696 -0.373 14.786
1.151 5.798 17.736
5.157 2.448 16.806
-5.670 -2.045 5.378
0.974 -4.184 11.791
-1.506 -1.650 3.402
8.340 -2.513 21.199
5.138 -3.790 9.815
-0.128 1.924 6.163
4.990 0.600 21.896
-1.654 2.739 15.483
3.249 3.538 19.431
-1.708 0.996 9.167
0.593 -3.909 5.097
-0.933 -3.094 14.416
11.580 -3.284 21.993
4.936 -1.144 15.580
8.967 1.917 19.707
2.308 -0.011 10.048
-4.336 2.129 3.635
-1.860 -2.576 8.280
0.782 0.804 19.368
2.323 4.057 13.294
```

**M_tot**: 0.000 μB per formula unit
**ΔH_f (0 K)**: -46.81 eV per formula unit
**Electronic total energy**: -6.84 eV/atom

Record 2
## Ba8ZrNb19O36 (GGA-PBE)

Data for Ba8ZrNb19O36 after structural relaxation.

```
Ba8ZrNb19O36
1.0
4.231 0.000 0.000
0.000 4.231 0.000
0.000 0.000 49.784
Ba Zr Nb O
8 1 19 36
Cartesian
0.000 0.000 2.084
0.000 0.000 10.354